## Listing
Entry 1:
DFT (PBE-GGA) results for a geometry-optimized Na4NbGa3P6O24 structure.

Energy of formation from the pure elements in kcal/mol of atoms: -60.9
M_tot in μB/atom: 0.000
Total energy after the MP2020 corrections in eV per atom: -7.26

Cell: 8.6882 8.6938 22.1268 Å, 90.07 90.02 119.98°
With the nearest neighbours (Å) after each atom.
Space group P1 (No. 1)
Inequivalent atoms, fractional coordinates:
Na 0.0000 0.0000 0.0000 x1  6 O 2.52-2.56
Na 0.0001 0.0004 0.4939 x1  6 O 2.41-2.68
Na 0.0013 0.3678 0.2521 x1  5 O 2.33-2.55
Na 0.0320 0.3337 0.9169 x1  6 O 2.37-2.62
Na 0.3006 0.9674 0.9173 x1  6 O 2.37-2.59
Na 0.3246 0.6575 0.8295 x1  6 O 2.39-2.63
Na 0.3344 0.6781 0.3320 x1  6 O 2.46-2.61
Na 0.6323 0.9999 0.7490 x1  5 O 2.32-2.56
Na 0.6341 0.6329 0.2523 x1  5 O 2.34-2.54
Na 0.6580 0.3240 0.1642 x1  6 O 2.43-2.60
Na 0.6660 0.6987 0.9173 x1  6 O 2.37-2.63
Na 0.6674 0.3428 0.6639 x1  6 O 2.45-2.59
Nb 0.0010 0.9995 0.6440 x1  6 O 1.98-2.01
Nb 0.0015 0.0011 0.1444 x1  6 O 1.98-2.00
Nb 0.3326 0.6662 0.4760 x1  6 O 1.97-2.01
Ga 0.0011 0.9996 0.3547 x1  6 O 1.96-2.00
Ga 0.0015 0.0009 0.8482 x1  6 O 1.92-2.08
Ga 0.3273 0.6604 0.6843 x1  6 O 1.91-2.06
Ga 0.3328 0.6670 0.9851 x1  6 O 1.92-2.08
Ga 0.3339 0.6736 0.1826 x1  6 O 1.89-2.11
Ga 0.6604 0.3267 0.3182 x1  5 O 1.88-2.06
Ga 0.6658 0.3331 0.5177 x1  6 O 1.93-2.03
Ga 0.6664 0.3342 0.0203 x1  6 O 1.98-1.99
Ga 0.6673 0.3398 0.8139 x1  6 O 1.95-2.04
P 0.0037 0.2978 0.7521 x1  4 O 1.52-1.57
P 0.0047 0.7112 0.2524 x1  4 O 1.51-1.58
P 0.0395 0.6564 0.5841 x1  4 O 1.52-1.58
P 0.0412 0.3833 0.0829 x1  4 O 1.53-1.58
P 0.2933 0.9996 0.7521 x1  4 O 1.54-1.56
P 0.2928 0.2905 0.2524 x1  4 O 1.52-1.57
P 0.3418 0.9592 0.0819 x1  4 O 1.53-1.58
P 0.3432 0.3837 0.5843 x1  4 O 1.52-1.58
P 0.3767 0.0529 0.4166 x1  4 O 1.52-1.60
P 0.3778 0.3335 0.9170 x1  4 O 1.53-1.56
P 0.6166 0.6587 0.0830 x1  4 O 1.53-1.58
P 0.6167 0.9602 0.5850 x1  4 O 1.52-1.58
P 0.6666 0.0444 0.9163 x1  4 O 1.53-1.56
P 0.6757 0.6236 0.4157 x1  4 O 1.52-1.59
P 0.7054 0.7036 0.7516 x1  4 O 1.52-1.57
P 0.7047 0.9989 0.2521 x1  4 O 1.53-1.59
P 0.9468 0.3242 0.4156 x1  4 O 1.52-1.59
P 0.9549 0.6219 0.9169 x1  4 O 1.54-1.56
O 0.0240 0.1941 0.0898 x1  1 P 1.58
O 0.0261 0.8307 0.5905 x1  1 P 1.58
O 0.0325 0.2148 0.8101 x1  1 P 1.55
O 0.0339 0.8273 0.3071 x1  1 P 1.51
O 0.1246 0.4892 0.1410 x1  1 P 1.54
O 0.1249 0.6333 0.6411 x1  1 P 1.53
O 0.1379 0.4965 0.4234 x1  1 P 1.59
O 0.1442 0.6442 0.9234 x1  1 P 1.56
O 0.1547 0.4563 0.0251 x1  1 P 1.55
O 0.1599 0.6946 0.5280 x1  1 P 1.55
O 0.1663 0.6849 0.2436 x1  1 P 1.54
O 0.1682 0.2075 0.3059 x1  1 P 1.52
O 0.1690 0.1961 0.5910 x1  1 P 1.58
O 0.1690 0.4794 0.7441 x1  1 P 1.52
O 0.1694 0.9758 0.0899 x1  1 P 1.58
O 0.1811 0.9680 0.8099 x1  1 P 1.55
O 0.1884 0.1665 0.9104 x1  1 P 1.56
O 0.1891 0.0243 0.4105 x1  1 P 1.53
O 0.1985 0.0264 0.6966 x1  1 P 1.56
O 0.2020 0.1737 0.1947 x1  1 P 1.57
O 0.3000 0.8471 0.0236 x1  1 P 1.55
O 0.3045 0.4655 0.5281 x1  1 P 1.55
O 0.3109 0.4767 0.2435 x1  1 P 1.56
O 0.3152 0.8354 0.7444 x1  1 P 1.54
O 0.3551 0.5002 0.9235 x1  1 P 1.56
O 0.3575 0.8614 0.4242 x1  1 P 1.60
O 0.3668 0.8739 0.1385 x1  1 P 1.53
O 0.3681 0.4936 0.6411 x1  1 P 1.53
O 0.4567 0.2930 0.9727 x1  1 P 1.53
O 0.4595 0.1605 0.4738 x1  1 P 1.52
O 0.4787 0.1672 0.7558 x1  1 P 1.54
O 0.4796 0.3121 0.2558 x1  1 P 1.54
O 0.4913 0.1221 0.3593 x1  1 P 1.54
O 0.4965 0.3743 0.8608 x1  1 P 1.54
O 0.4997 0.8556 0.9230 x1  1 P 1.56
O 0.5022 0.1456 0.0765 x1  1 P 1.53
O 0.5016 0.3568 0.5766 x1  1 P 1.52
O 0.5033 0.6423 0.4235 x1  1 P 1.59
O 0.5099 0.6351 0.1410 x1  1 P 1.54
O 0.5118 0.8777 0.6434 x1  1 P 1.54
O 0.5230 0.8296 0.2428 x1  1 P 1.54
O 0.5249 0.6946 0.7439 x1  1 P 1.54
O 0.5319 0.8380 0.5295 x1  1 P 1.55
O 0.5438 0.6995 0.0251 x1  1 P 1.55
O 0.6279 0.1200 0.8585 x1  1 P 1.55
O 0.6335 0.5129 0.3568 x1  1 P 1.55
O 0.6421 0.4979 0.0772 x1  1 P 1.53
O 0.6432 0.1453 0.5772 x1  1 P 1.52
O 0.6940 0.5231 0.7558 x1  1 P 1.52
O 0.6962 0.1713 0.2557 x1  1 P 1.54
O 0.6994 0.5378 0.4722 x1  1 P 1.52

## Job
Write out the lines earlier on up to the one that holds "0.0325 0.2148", that line included, please.

## Response
Entry 1:
DFT (PBE-GGA) results for a geometry-optimized Na4NbGa3P6O24 structure.

Energy of formation from the pure elements in kcal/mol of atoms: -60.9
M_tot in μB/atom: 0.000
Total energy after the MP2020 corrections in eV per atom: -7.26

Cell: 8.6882 8.6938 22.1268 Å, 90.07 90.02 119.98°
With the nearest neighbours (Å) after each atom.
Space group P1 (No. 1)
Inequivalent atoms, fractional coordinates:
Na 0.0000 0.0000 0.0000 x1  6 O 2.52-2.56
Na 0.0001 0.0004 0.4939 x1  6 O 2.41-2.68
Na 0.0013 0.3678 0.2521 x1  5 O 2.33-2.55
Na 0.0320 0.3337 0.9169 x1  6 O 2.37-2.62
Na 0.3006 0.9674 0.9173 x1  6 O 2.37-2.59
Na 0.3246 0.6575 0.8295 x1  6 O 2.39-2.63
Na 0.3344 0.6781 0.3320 x1  6 O 2.46-2.61
Na 0.6323 0.9999 0.7490 x1  5 O 2.32-2.56
Na 0.6341 0.6329 0.2523 x1  5 O 2.34-2.54
Na 0.6580 0.3240 0.1642 x1  6 O 2.43-2.60
Na 0.6660 0.6987 0.9173 x1  6 O 2.37-2.63
Na 0.6674 0.3428 0.6639 x1  6 O 2.45-2.59
Nb 0.0010 0.9995 0.6440 x1  6 O 1.98-2.01
Nb 0.0015 0.0011 0.1444 x1  6 O 1.98-2.00
Nb 0.3326 0.6662 0.4760 x1  6 O 1.97-2.01
Ga 0.0011 0.9996 0.3547 x1  6 O 1.96-2.00
Ga 0.0015 0.0009 0.8482 x1  6 O 1.92-2.08
Ga 0.3273 0.6604 0.6843 x1  6 O 1.91-2.06
Ga 0.3328 0.6670 0.9851 x1  6 O 1.92-2.08
Ga 0.3339 0.6736 0.1826 x1  6 O 1.89-2.11
Ga 0.6604 0.3267 0.3182 x1  5 O 1.88-2.06
Ga 0.6658 0.3331 0.5177 x1  6 O 1.93-2.03
Ga 0.6664 0.3342 0.0203 x1  6 O 1.98-1.99
Ga 0.6673 0.3398 0.8139 x1  6 O 1.95-2.04
P 0.0037 0.2978 0.7521 x1  4 O 1.52-1.57
P 0.0047 0.7112 0.2524 x1  4 O 1.51-1.58
P 0.0395 0.6564 0.5841 x1  4 O 1.52-1.58
P 0.0412 0.3833 0.0829 x1  4 O 1.53-1.58
P 0.2933 0.9996 0.7521 x1  4 O 1.54-1.56
P 0.2928 0.2905 0.2524 x1  4 O 1.52-1.57
P 0.3418 0.9592 0.0819 x1  4 O 1.53-1.58
P 0.3432 0.3837 0.5843 x1  4 O 1.52-1.58
P 0.3767 0.0529 0.4166 x1  4 O 1.52-1.60
P 0.3778 0.3335 0.9170 x1  4 O 1.53-1.56
P 0.6166 0.6587 0.0830 x1  4 O 1.53-1.58
P 0.6167 0.9602 0.5850 x1  4 O 1.52-1.58
P 0.6666 0.0444 0.9163 x1  4 O 1.53-1.56
P 0.6757 0.6236 0.4157 x1  4 O 1.52-1.59
P 0.7054 0.7036 0.7516 x1  4 O 1.52-1.57
P 0.7047 0.9989 0.2521 x1  4 O 1.53-1.59
P 0.9468 0.3242 0.4156 x1  4 O 1.52-1.59
P 0.9549 0.6219 0.9169 x1  4 O 1.54-1.56
O 0.0240 0.1941 0.0898 x1  1 P 1.58
O 0.0261 0.8307 0.5905 x1  1 P 1.58
O 0.0325 0.2148 0.8101 x1  1 P 1.55